**Data:**
____________
The following is a DFT calculation (the ωB97M-V functional and the def2-TZVPD basis) of 2 unconnected molecules or ions with the total composition C5H12NOS.

Computed properties:
- energy relative to the best compared isomer or geometry (same formula, charge and spin) (kJ/mol) = 687.0
- strongest force on any atom (eV Å⁻¹) = 3.64
- spin multiplicity = 1
- net charge = -1
- HOMO-LUMO gap (eV) = 3.7
- LUMO level (eV) = 0.79

```
20
Properties=species:S:1:pos:R:3:forces:R:3:mulliken_charge:R:1
C 0.41676 -0.90803 -0.57184 -0.646 0.484 0.430 -0.599
N 1.38007 0.11985 -0.81348 0.260 -0.126 0.019 -0.357
C 1.32131 0.66144 -2.28382 0.489 -0.237 0.110 -0.443
O 1.42585 -0.21000 -3.25233 -0.351 -0.458 0.053 -0.855
C -0.94483 -0.27977 -0.18842 -1.772 -0.838 0.579 -1.227
C -0.94401 0.85144 0.87875 -2.604 -0.785 -0.443 -0.012
C -0.57757 0.32353 2.25984 3.011 1.647 -0.277 -1.411
S -1.87456 -0.61212 3.15524 2.020 -1.812 -2.420 -0.188
H 0.75287 -1.68577 0.12780 0.228 0.262 0.872 0.490
H 0.19726 -1.56755 -1.40118 0.055 -0.019 -0.916 0.330
H 2.32408 -0.22216 -0.62627 -0.330 0.014 -0.464 0.257
H 0.36746 1.27796 -2.31444 0.490 -0.071 0.275 0.164
H 2.21960 1.30707 -2.21212 -0.144 0.776 -0.036 0.293
H -1.57671 -1.08304 0.24872 0.096 0.007 -0.261 0.514
H -1.51182 -0.05955 -1.11841 0.541 0.454 0.538 0.356
H -1.93525 1.24760 1.23482 -0.084 -0.414 -1.639 0.328
H -0.51774 1.67491 0.33606 1.381 0.615 0.927 0.391
H -0.25085 1.21202 2.84222 -0.242 -0.596 0.058 0.327
H 0.31247 -0.31619 2.08248 -0.165 0.574 0.801 0.469
H -0.58440 -1.73165 1.61637 -2.234 0.523 1.795 0.172
```
Positions in Å, forces in eV/Å.

***

The following is a DFT calculation (the ωB97M-V functional and the def2-TZVPD basis) of a molecular structure, C14H19Cl3GeN3O3Pt.

Computed properties:
- energy relative to the best compared isomer or geometry (same formula, charge and spin) (kJ/mol) = 17.6
- strongest force on any atom (eV Å⁻¹) = 1.46
- spin multiplicity = 2
- net charge = -2
- HOMO-LUMO gap (spin up / spin down) (eV) = 6.0 / 5.8
- LUMO level (spin up / spin down) (eV) = 4.82 / 4.82

```
44
Properties=species:S:1:pos:R:3:forces:R:3:mulliken_spin:R:1
Pt 0.48386 -0.28024 0.62061 0.822 -0.958 0.621 0.073
C -0.41945 -1.45190 4.62995 -0.027 -0.011 0.094 0.000
C -0.38248 -1.27710 3.14611 1.245 0.481 -0.092 -0.009
N 0.65328 -0.69144 2.56505 -1.237 0.045 0.613 0.003
O 1.48087 0.03702 3.42602 0.318 -0.059 0.182 0.000
C -1.41097 -1.71563 2.29772 -0.737 -0.622 -0.039 0.006
C -2.58737 -2.52127 2.77057 0.207 0.121 -0.029 -0.001
N -1.30250 -1.36238 1.01368 0.062 0.452 0.025 0.001
O -2.17784 -1.70050 0.18981 -0.178 -0.236 -0.238 0.000
H 0.57282 -1.26620 5.03256 -0.050 -0.029 0.045 0.000
H -0.73705 -2.46270 4.89230 -0.075 0.012 -0.049 0.000
H -1.11149 -0.74188 5.08954 -0.023 0.006 -0.049 -0.001
H 0.94915 0.83352 3.62927 0.011 0.065 -0.068 0.000
H -3.02062 -2.09479 3.67777 -0.016 -0.019 0.013 0.000
H -2.30718 -3.55916 2.98070 -0.073 -0.038 0.001 0.000
H -3.33181 -2.51578 1.97673 -0.020 -0.029 0.034 0.001
C 2.60420 1.86910 0.75428 0.213 -0.040 0.054 -0.002
C 2.38131 0.38078 0.58874 -0.144 0.044 -0.355 0.001
O 3.32924 -0.37585 0.47883 0.168 0.092 -0.004 0.001
H 3.67306 2.10517 0.73340 -0.016 -0.007 0.004 0.000
H 2.17417 2.18560 1.70636 -0.051 0.061 -0.016 0.000
H 2.07643 2.41126 -0.03151 -0.070 -0.021 0.007 -0.001
C 1.67453 -1.93625 -2.40004 -0.001 0.060 -0.120 -0.006
C 0.96080 -0.89350 -3.20621 -0.138 -0.016 0.068 0.164
C 0.96970 -0.90057 -4.58555 0.113 -0.055 -0.062 -0.134
C 0.28054 0.05951 -5.32739 -0.013 -0.017 0.009 0.264
C -0.44521 1.04927 -4.66180 -0.015 0.021 -0.037 -0.127
C -0.47848 1.11277 -3.28478 -0.060 0.058 0.075 0.127
C -1.27284 2.15082 -2.55199 0.016 -0.031 -0.032 0.013
C 0.23775 0.14022 -2.49333 0.297 -0.513 -0.033 0.046
N 0.22672 0.22269 -1.19244 -0.447 1.085 -0.866 0.535
H 2.01105 -2.76196 -3.03281 -0.001 0.029 -0.028 0.001
H 1.00584 -2.31656 -1.62572 0.050 -0.018 0.056 0.006
H 2.53682 -1.51320 -1.88035 -0.026 -0.033 0.083 0.012
H 1.52320 -1.68204 -5.10140 -0.013 0.017 -0.013 -0.005
____________
**Activity:**
Copy the whole of the notes further above word for word.
**Done:**
The following is a DFT calculation (the ωB97M-V functional and the def2-TZVPD basis) of 2 unconnected molecules or ions with the total composition C5H12NOS.

Computed properties:
- energy relative to the best compared isomer or geometry (same formula, charge and spin) (kJ/mol) = 687.0
- strongest force on any atom (eV Å⁻¹) = 3.64
- spin multiplicity = 1
- net charge = -1
- HOMO-LUMO gap (eV) = 3.7
- LUMO level (eV) = 0.79

```
20
Properties=species:S:1:pos:R:3:forces:R:3:mulliken_charge:R:1
C 0.41676 -0.90803 -0.57184 -0.646 0.484 0.430 -0.599
N 1.38007 0.11985 -0.81348 0.260 -0.126 0.019 -0.357
C 1.32131 0.66144 -2.28382 0.489 -0.237 0.110 -0.443
O 1.42585 -0.21000 -3.25233 -0.351 -0.458 0.053 -0.855
C -0.94483 -0.27977 -0.18842 -1.772 -0.838 0.579 -1.227
C -0.94401 0.85144 0.87875 -2.604 -0.785 -0.443 -0.012
C -0.57757 0.32353 2.25984 3.011 1.647 -0.277 -1.411
S -1.87456 -0.61212 3.15524 2.020 -1.812 -2.420 -0.188
H 0.75287 -1.68577 0.12780 0.228 0.262 0.872 0.490
H 0.19726 -1.56755 -1.40118 0.055 -0.019 -0.916 0.330
H 2.32408 -0.22216 -0.62627 -0.330 0.014 -0.464 0.257
H 0.36746 1.27796 -2.31444 0.490 -0.071 0.275 0.164
H 2.21960 1.30707 -2.21212 -0.144 0.776 -0.036 0.293
H -1.57671 -1.08304 0.24872 0.096 0.007 -0.261 0.514
H -1.51182 -0.05955 -1.11841 0.541 0.454 0.538 0.356
H -1.93525 1.24760 1.23482 -0.084 -0.414 -1.639 0.328
H -0.51774 1.67491 0.33606 1.381 0.615 0.927 0.391
H -0.25085 1.21202 2.84222 -0.242 -0.596 0.058 0.327
H 0.31247 -0.31619 2.08248 -0.165 0.574 0.801 0.469
H -0.58440 -1.73165 1.61637 -2.234 0.523 1.795 0.172
```
Positions in Å, forces in eV/Å.

***

The following is a DFT calculation (the ωB97M-V functional and the def2-TZVPD basis) of a molecular structure, C14H19Cl3GeN3O3Pt.

Computed properties:
- energy relative to the best compared isomer or geometry (same formula, charge and spin) (kJ/mol) = 17.6
- strongest force on any atom (eV Å⁻¹) = 1.46
- spin multiplicity = 2
- net charge = -2
- HOMO-LUMO gap (spin up / spin down) (eV) = 6.0 / 5.8
- LUMO level (spin up / spin down) (eV) = 4.82 / 4.82

```
44
Properties=species:S:1:pos:R:3:forces:R:3:mulliken_spin:R:1
Pt 0.48386 -0.28024 0.62061 0.822 -0.958 0.621 0.073
C -0.41945 -1.45190 4.62995 -0.027 -0.011 0.094 0.000
C -0.38248 -1.27710 3.14611 1.245 0.481 -0.092 -0.009
N 0.65328 -0.69144 2.56505 -1.237 0.045 0.613 0.003
O 1.48087 0.03702 3.42602 0.318 -0.059 0.182 0.000
C -1.41097 -1.71563 2.29772 -0.737 -0.622 -0.039 0.006
C -2.58737 -2.52127 2.77057 0.207 0.121 -0.029 -0.001
N -1.30250 -1.36238 1.01368 0.062 0.452 0.025 0.001
O -2.17784 -1.70050 0.18981 -0.178 -0.236 -0.238 0.000
H 0.57282 -1.26620 5.03256 -0.050 -0.029 0.045 0.000
H -0.73705 -2.46270 4.89230 -0.075 0.012 -0.049 0.000
H -1.11149 -0.74188 5.08954 -0.023 0.006 -0.049 -0.001
H 0.94915 0.83352 3.62927 0.011 0.065 -0.068 0.000
H -3.02062 -2.09479 3.67777 -0.016 -0.019 0.013 0.000
H -2.30718 -3.55916 2.98070 -0.073 -0.038 0.001 0.000
H -3.33181 -2.51578 1.97673 -0.020 -0.029 0.034 0.001
C 2.60420 1.86910 0.75428 0.213 -0.040 0.054 -0.002
C 2.38131 0.38078 0.58874 -0.144 0.044 -0.355 0.001
O 3.32924 -0.37585 0.47883 0.168 0.092 -0.004 0.001
H 3.67306 2.10517 0.73340 -0.016 -0.007 0.004 0.000
H 2.17417 2.18560 1.70636 -0.051 0.061 -0.016 0.000
H 2.07643 2.41126 -0.03151 -0.070 -0.021 0.007 -0.001
C 1.67453 -1.93625 -2.40004 -0.001 0.060 -0.120 -0.006
C 0.96080 -0.89350 -3.20621 -0.138 -0.016 0.068 0.164
C 0.96970 -0.90057 -4.58555 0.113 -0.055 -0.062 -0.134
C 0.28054 0.05951 -5.32739 -0.013 -0.017 0.009 0.264
C -0.44521 1.04927 -4.66180 -0.015 0.021 -0.037 -0.127
C -0.47848 1.11277 -3.28478 -0.060 0.058 0.075 0.127
C -1.27284 2.15082 -2.55199 0.016 -0.031 -0.032 0.013
C 0.23775 0.14022 -2.49333 0.297 -0.513 -0.033 0.046
N 0.22672 0.22269 -1.19244 -0.447 1.085 -0.866 0.535
H 2.01105 -2.76196 -3.03281 -0.001 0.029 -0.028 0.001
H 1.00584 -2.31656 -1.62572 0.050 -0.018 0.056 0.006
H 2.53682 -1.51320 -1.88035 -0.026 -0.033 0.083 0.012
H 1.52320 -1.68204 -5.10140 -0.013 0.017 -0.013 -0.005